Request:
The reader should retype the rows further below exactly.

Source:
'''
ORCA calculation (ωB97M-V/def2-TZVPD) on a structure of composition C41H51CaCl2N4O12P2S2 at a distorted geometry.

Orbital gap   6.3 eV
E_HOMO   -4.135 eV
E   -157618.682 eV
2S+1   1
Total charge   -1

Each line ends with the Löwdin charge.
Positions of all 115 atoms, in Å:
Ca1 -1.1406 -0.3337 -0.4265  1.323
C1 -3.1936 6.0955 1.0306  -0.059
C2 -3.1440 4.9786 0.0233  -0.280
C3 -2.5972 5.1691 -1.2424  -0.051
C4 -2.5225 4.1279 -2.1550  -0.082
C5 -3.0077 2.8750 -1.8098  -0.362
C6 -3.5774 2.6746 -0.5620  -0.074
C7 -3.6292 3.7167 0.3497  -0.036
S1 -2.9684 1.5817 -3.0650  0.894
O1 -1.6651 1.7614 -3.7684  -0.518
O2 -0.2975 1.7719 -1.2707  -0.215
N1 -2.9495 0.2525 -2.0988  -0.306
C8 -3.9696 -0.6435 -2.3469  -0.318
C9 -4.8507 -0.6313 -3.4242  -0.066
C10 -5.8801 -1.5731 -3.5664  -0.098
C11 -6.0815 -2.5643 -2.6483  -0.075
C12 -5.2130 -2.6350 -1.5375  -0.171
C13 -5.3653 -3.6263 -0.5402  -0.022
C14 -4.5167 -3.6580 0.5231  -0.059
C15 -3.4848 -2.7015 0.5820  -0.142
N2 -3.3035 -1.7727 -0.3237  0.048
C16 -4.1599 -1.7023 -1.3845  -0.169
H1 -2.8782 7.0418 0.5889  0.068
H2 -2.5422 5.8828 1.8808  0.079
H3 -4.2022 6.2273 1.4262  0.075
H4 -2.2117 6.1466 -1.5129  0.104
H5 -2.0626 4.2688 -3.1255  0.106
H6 -3.9496 1.6933 -0.2962  0.102
H7 -4.0347 3.5368 1.3387  0.117
H8 -4.7488 0.1268 -4.1866  0.071
H9 -6.5253 -1.4987 -4.4341  0.099
H10 -6.8765 -3.2921 -2.7504  0.099
H11 -6.1674 -4.3485 -0.6441  0.113
H12 -4.5995 -4.4016 1.3044  0.102
H13 -2.7808 -2.6996 1.4011  0.069
C17 1.4319 2.6161 -4.3196  -0.032
C18 2.4768 1.8902 -3.5012  -0.380
C19 2.4352 0.3862 -3.7014  -0.039
O3 2.3554 2.3325 -2.1004  -0.164
P1 1.2367 2.1328 -1.0209  0.512
O4 0.6097 0.6229 -1.6525  -0.325
C20 1.9269 1.5285 0.5248  -0.169
P2 2.2425 -0.2432 0.6189  0.471
O5 1.0079 -1.0412 0.5625  -0.334
O6 3.0543 -0.3862 1.9647  -0.174
C21 2.7625 -1.4776 2.9018  -0.416
C22 3.2049 -0.9852 4.2590  -0.033
C23 3.4537 -2.7396 2.4395  -0.042
O7 3.2583 -0.5217 -0.5482  -0.191
C24 4.7035 -0.6128 -0.4559  -0.424
C25 5.1117 -1.9496 -1.0342  -0.071
C26 5.2961 0.5638 -1.2076  -0.035
O8 0.9554 3.6661 -0.6436  -0.174
C27 2.0060 4.5957 -0.3199  -0.463
C28 1.7259 5.1448 1.0638  -0.031
C29 2.0237 5.6685 -1.3897  -0.034
H14 1.5585 2.3601 -5.3732  0.092
H15 1.5282 3.6976 -4.2124  0.076
H16 0.4263 2.3042 -4.0222  0.055
H17 3.4781 2.2554 -3.7349  0.135
H18 1.4148 0.0197 -3.7818  0.082
H19 2.9332 -0.1519 -2.8971  0.064
H20 2.9554 0.1646 -4.6362  0.093
H21 1.2288 1.8095 1.3203  0.081
H22 2.8656 2.0624 0.6971  0.088
H23 1.6831 -1.6210 2.8811  0.108
H24 4.2866 -0.8378 4.2785  0.084
H25 2.9418 -1.7176 5.0234  0.088
H26 2.7161 -0.0433 4.5084  0.083
H27 4.5387 -2.6059 2.4370  0.087
H28 3.1164 -3.0413 1.4434  0.006
H29 3.2137 -3.5561 3.1241  0.090
H30 4.9749 -0.5560 0.5997  0.130
H31 4.7201 -2.0500 -2.0476  0.081
H32 4.7079 -2.7738 -0.4479  0.015
H33 6.2007 -2.0238 -1.0621  0.086
H34 5.0575 0.4943 -2.2700  0.077
H35 6.3817 0.5617 -1.0973  0.085
H36 4.9098 1.5123 -0.8312  0.074
H37 2.9673 4.0712 -0.3283  0.125
H38 0.7824 5.6910 1.0572  0.085
H39 2.5222 5.8244 1.3724  0.084
H40 1.6459 4.3416 1.7968  0.080
H41 1.0518 6.1625 -1.4272  0.085
H42 2.2279 5.2285 -2.3653  0.069
H43 2.7897 6.4150 -1.1718  0.083
C30 -0.8292 -4.1318 2.8986  0.020
C31 -0.8189 -2.7037 3.3110  -0.353
N3 -1.0775 -1.6763 2.5298  0.160
C32 -0.8539 -0.5569 3.2835  -0.129
C33 -0.4731 -0.9135 4.5551  -0.101
N4 -0.4622 -2.2834 4.5474  0.173
C34 -0.0740 -0.2170 5.7999  -0.517
O9 -0.0170 1.0909 5.7537  0.111
O10 0.1893 -0.8712 6.7905  0.067
C35 -0.8868 0.8074 2.6743  -0.574
O11 -0.4926 1.7690 3.3806  0.017
O12 -1.2535 0.9013 1.4806  -0.140
H44 -0.1660 -4.2680 2.0440  0.081
H45 -1.8240 -4.4529 2.5883  0.074
H46 -0.4934 -4.7796 3.7077  0.083
H47 -0.2194 -2.8343 5.3556  0.164
H48 -0.2604 1.4191 4.8065  0.051
Cl1 -0.2996 -2.5931 -2.1453  0.678
C36 -0.3286 -4.1306 -1.2930  -0.635
C37 -1.5551 -4.7634 -1.2362  -0.149
C38 -1.6683 -5.9859 -0.5910  -0.119
C39 -0.5329 -6.5379 -0.0158  -0.159
C40 0.6815 -5.8820 -0.0984  -0.708
Cl2 2.0352 -6.6500 0.6931  0.600
'''

Solution:
ORCA calculation (ωB97M-V/def2-TZVPD) on a structure of composition C41H51CaCl2N4O12P2S2 at a distorted geometry.

Orbital gap   6.3 eV
E_HOMO   -4.135 eV
E   -157618.682 eV
2S+1   1
Total charge   -1

Each line ends with the Löwdin charge.
Positions of all 115 atoms, in Å:
Ca1 -1.1406 -0.3337 -0.4265  1.323
C1 -3.1936 6.0955 1.0306  -0.059
C2 -3.1440 4.9786 0.0233  -0.280
C3 -2.5972 5.1691 -1.2424  -0.051
C4 -2.5225 4.1279 -2.1550  -0.082
C5 -3.0077 2.8750 -1.8098  -0.362
C6 -3.5774 2.6746 -0.5620  -0.074
C7 -3.6292 3.7167 0.3497  -0.036
S1 -2.9684 1.5817 -3.0650  0.894
O1 -1.6651 1.7614 -3.7684  -0.518
O2 -0.2975 1.7719 -1.2707  -0.215
N1 -2.9495 0.2525 -2.0988  -0.306
C8 -3.9696 -0.6435 -2.3469  -0.318
C9 -4.8507 -0.6313 -3.4242  -0.066
C10 -5.8801 -1.5731 -3.5664  -0.098
C11 -6.0815 -2.5643 -2.6483  -0.075
C12 -5.2130 -2.6350 -1.5375  -0.171
C13 -5.3653 -3.6263 -0.5402  -0.022
C14 -4.5167 -3.6580 0.5231  -0.059
C15 -3.4848 -2.7015 0.5820  -0.142
N2 -3.3035 -1.7727 -0.3237  0.048
C16 -4.1599 -1.7023 -1.3845  -0.169
H1 -2.8782 7.0418 0.5889  0.068
H2 -2.5422 5.8828 1.8808  0.079
H3 -4.2022 6.2273 1.4262  0.075
H4 -2.2117 6.1466 -1.5129  0.104
H5 -2.0626 4.2688 -3.1255  0.106
H6 -3.9496 1.6933 -0.2962  0.102
H7 -4.0347 3.5368 1.3387  0.117
H8 -4.7488 0.1268 -4.1866  0.071
H9 -6.5253 -1.4987 -4.4341  0.099
H10 -6.8765 -3.2921 -2.7504  0.099
H11 -6.1674 -4.3485 -0.6441  0.113
H12 -4.5995 -4.4016 1.3044  0.102
H13 -2.7808 -2.6996 1.4011  0.069
C17 1.4319 2.6161 -4.3196  -0.032
C18 2.4768 1.8902 -3.5012  -0.380
C19 2.4352 0.3862 -3.7014  -0.039
O3 2.3554 2.3325 -2.1004  -0.164
P1 1.2367 2.1328 -1.0209  0.512
O4 0.6097 0.6229 -1.6525  -0.325
C20 1.9269 1.5285 0.5248  -0.169
P2 2.2425 -0.2432 0.6189  0.471
O5 1.0079 -1.0412 0.5625  -0.334
O6 3.0543 -0.3862 1.9647  -0.174
C21 2.7625 -1.4776 2.9018  -0.416
C22 3.2049 -0.9852 4.2590  -0.033
C23 3.4537 -2.7396 2.4395  -0.042
O7 3.2583 -0.5217 -0.5482  -0.191
C24 4.7035 -0.6128 -0.4559  -0.424
C25 5.1117 -1.9496 -1.0342  -0.071
C26 5.2961 0.5638 -1.2076  -0.035
O8 0.9554 3.6661 -0.6436  -0.174
C27 2.0060 4.5957 -0.3199  -0.463
C28 1.7259 5.1448 1.0638  -0.031
C29 2.0237 5.6685 -1.3897  -0.034
H14 1.5585 2.3601 -5.3732  0.092
H15 1.5282 3.6976 -4.2124  0.076
H16 0.4263 2.3042 -4.0222  0.055
H17 3.4781 2.2554 -3.7349  0.135
H18 1.4148 0.0197 -3.7818  0.082
H19 2.9332 -0.1519 -2.8971  0.064
H20 2.9554 0.1646 -4.6362  0.093
H21 1.2288 1.8095 1.3203  0.081
H22 2.8656 2.0624 0.6971  0.088
H23 1.6831 -1.6210 2.8811  0.108
H24 4.2866 -0.8378 4.2785  0.084
H25 2.9418 -1.7176 5.0234  0.088
H26 2.7161 -0.0433 4.5084  0.083
H27 4.5387 -2.6059 2.4370  0.087
H28 3.1164 -3.0413 1.4434  0.006
H29 3.2137 -3.5561 3.1241  0.090
H30 4.9749 -0.5560 0.5997  0.130
H31 4.7201 -2.0500 -2.0476  0.081
H32 4.7079 -2.7738 -0.4479  0.015
H33 6.2007 -2.0238 -1.0621  0.086
H34 5.0575 0.4943 -2.2700  0.077
H35 6.3817 0.5617 -1.0973  0.085
H36 4.9098 1.5123 -0.8312  0.074
H37 2.9673 4.0712 -0.3283  0.125
H38 0.7824 5.6910 1.0572  0.085
H39 2.5222 5.8244 1.3724  0.084
H40 1.6459 4.3416 1.7968  0.080
H41 1.0518 6.1625 -1.4272  0.085
H42 2.2279 5.2285 -2.3653  0.069
H43 2.7897 6.4150 -1.1718  0.083
C30 -0.8292 -4.1318 2.8986  0.020
C31 -0.8189 -2.7037 3.3110  -0.353
N3 -1.0775 -1.6763 2.5298  0.160
C32 -0.8539 -0.5569 3.2835  -0.129
C33 -0.4731 -0.9135 4.5551  -0.101
N4 -0.4622 -2.2834 4.5474  0.173
C34 -0.0740 -0.2170 5.7999  -0.517
O9 -0.0170 1.0909 5.7537  0.111
O10 0.1893 -0.8712 6.7905  0.067
C35 -0.8868 0.8074 2.6743  -0.574
O11 -0.4926 1.7690 3.3806  0.017
O12 -1.2535 0.9013 1.4806  -0.140
H44 -0.1660 -4.2680 2.0440  0.081
H45 -1.8240 -4.4529 2.5883  0.074
H46 -0.4934 -4.7796 3.7077  0.083
H47 -0.2194 -2.8343 5.3556  0.164
H48 -0.2604 1.4191 4.8065  0.051
Cl1 -0.2996 -2.5931 -2.1453  0.678
C36 -0.3286 -4.1306 -1.2930  -0.635
C37 -1.5551 -4.7634 -1.2362  -0.149
C38 -1.6683 -5.9859 -0.5910  -0.119
C39 -0.5329 -6.5379 -0.0158  -0.159
C40 0.6815 -5.8820 -0.0984  -0.708
Cl2 2.0352 -6.6500 0.6931  0.600